Mrs. Lion orgasm
It’s been a long time since I’ve had a Lion-free orgasm.

I don’t know why I decided it would be a good idea to masturbate last night in front of Lion. I haven’t masturbated in a long time. It’s usually been in conjunction with Lion saying he misses giving me orgasms and wants me to get my libido back. I give it the old college try in private to see if anything happens. The past two times (at least) haven’t resulted in much of anything happening. I figure who would know better how to give me an orgasm than me? I know what feels good. I don’t have to tell myself faster or slower. I just do it. That is, of course, if the “it” wants to happen.

Did I think it would be a turn on for Lion to watch? Did I think he would learn anything? Did I think he would keep asking me what I was doing and how hard was I pressing and why is this spot better than that spot? I really don’t know. I was just thinking about Lion being caged all this time and his final sendoff was having him masturbate for me. It was mostly so I could see how he did it. I know I know how to do it, but who knows better than Lion what feels good to Lion.

As soon as Lion read my post I was trying to figure out how to back pedal. I’ve never masturbated in front of anyone. And my track record the past few times in private wasn’t very good. I could potentially be there all night trying to have an orgasm and not be successful. I knew Lion wasn’t going to let it go. If I hit the X minute mark and decided to stop, he would want me to continue. Or he’d want to do it for me and that was not the point of the exercise.

I used some lube. It wasn’t the lube I wanted to use but I didn’t know where the other one was and I figured it would take a long time to find it. The lube had a warming effect, which I thought would be nice. The warmth didn’t really have an effect one way or the other. Sure it felt good trying but it didn’t feel “turn on” good. Lion started touching me and kissing my neck. I just remember watching him when he masturbated. Somehow having him touch me made it different from masturbating. It wasn’t bad. Just different. And then he turned on music, which from time to time felt like a distraction. Not enough to turn it off. He was trying to help. When he told me to stick my fingers inside me I snapped back to thinking that I know what I’m doing. Obviously I didn’t or I would have been done long before I was.

The clitoris is a sensitive area. Direct contact will get you what you want but too much contact can go anywhere from uncomfortable to electric shock. As it took longer and longer to reach my destination, I decided to hop on the express train. Direct contact it was. And it did the trick. Twice. But it left me sore, which I knew it would. I won’t say I was looking to get it over with, but it was becoming clear that I could have gone on all night without much happening.

What comes next are calculated molecules, not part of the text.
+++
1.
Molecular formula: C5H10N4
Method: DFT, ωB97M-V/def2-TZVPD

CARTESIAN COORDINATES (ANGSTROEM)
C -2.695923 0.497778 -0.896554
N -1.771602 0.924109 0.069508
C -0.581562 0.390677 0.033061
N -0.122940 0.065452 -1.102186
C 1.118988 -0.809318 -1.230894
C 1.587913 -0.932748 0.161147
C 2.509895 -0.396387 1.228133
N 1.463651 0.470419 0.710600
N 0.105439 0.393751 1.260569
H -3.485124 1.301218 -0.990900
H -2.045974 0.612950 -1.771043
H -3.073518 -0.605410 -0.581222
H -2.177747 1.437791 1.076103
H 0.652028 -1.687349 -1.747199
H 1.667918 -0.293451 -2.066387
H 0.985510 -1.666270 0.915034
H 2.265293 -1.001403 1.964192
H 3.580060 -0.071336 1.219901
H 0.017697 1.369528 1.748136

Force components x, y, z for each atom (eV/Å):
C -1.77 -0.26 -0.19
N -4.04 3.88 5.83
C 1.59 0.35 -0.22
N 0.97 -1.90 -0.79
C -2.36 1.09 -2.31
C -0.10 -0.32 2.12
C 2.04 2.09 -3.35
N 0.34 -2.07 0.91
N 1.97 2.91 1.75
H 0.35 -1.36 0.19
H -1.02 -1.10 -0.56
H 0.47 2.47 -1.46
H 1.82 -2.43 -4.01
H 1.02 0.05 0.91
H 0.39 -0.52 1.37
H 0.53 1.43 -2.89
H -0.52 -2.16 4.30
H -1.21 0.04 -0.44
H -0.47 -2.18 -1.16

SMILES string = CNC1=NC[C@H]2CN2N1

Atomic partial charges in e from the natural (NBO) method, atoms 1 to 2: atom 1 (C): -0.42, atom 2 (N): -0.59

=====

2.
Molecular formula: C2HFN2O
Method: DFT, ωB97M-V/def2-TZVPD

CARTESIAN COORDINATES (ANGSTROEM)
F 1.697588 -0.829816 1.063506
C 0.675980 0.017600 0.457166
C -0.761052 -0.219344 0.291842
N -1.050227 0.236238 -0.873367
O -0.060246 0.753134 -1.411399
N 1.090806 0.545889 -0.676107
H -1.592848 -0.503702 1.148360

Force components x, y, z for each atom (eV/Å):
F -3.07 2.85 -0.50
C 1.95 -3.06 -2.22
C -0.87 -0.85 4.16
N -5.08 -0.93 2.06
O 4.57 1.36 -1.75
N 0.04 0.18 1.10
H 2.46 0.44 -2.85

SMILES string = Fc1cnon1

Atomic partial charges in e from the natural (NBO) method, atoms 1 to 2: atom 1 (F): -0.31, atom 2 (C): 0.46

=====

3.
Molecular formula: C9H23N3P
Method: DFT, ωB97M-V/def2-TZVPD

CARTESIAN COORDINATES (ANGSTROEM)
C 2.441928 1.672738 1.256476
C 1.201011 2.080794 0.391844
P -0.283860 0.989743 0.536479
N -1.002238 0.743133 1.944537
C -1.472715 1.433814 -0.894265
C -1.635662 2.972027 -0.556893
C -2.772023 0.759372 -0.527906
N 0.230962 -0.621113 0.033089
C 1.153939 -1.005937 -1.100219
C 0.496467 -2.320039 -1.654733
N 0.660851 -3.318741 -0.587299
C -0.155623 -2.897334 0.611824
C 0.406260 -1.555017 1.090401
H 2.970049 2.514841 1.719308
H 2.223692 0.899794 2.017945
H 3.163009 1.168045 0.569911
H 1.526252 2.242028 -0.622398
H 0.813507 2.936787 0.799843
H -0.636239 1.461260 2.534023
H -1.148945 1.337986 -1.934442
H -1.382379 3.168376 0.563878
H -0.860953 3.457774 -1.138879
H -2.592196 3.278619 -0.769633
H -3.579236 1.207512 -1.080573
H -2.968265 0.914970 0.542032
H -2.880043 -0.292157 -0.455286
H 2.172981 -1.044828 -0.932696
H 1.109670 -0.125500 -1.748350
H -0.589925 -2.133995 -1.924833
H 0.970220 -2.703140 -2.611792
H 0.503197 -4.289181 -0.935928
H 1.596483 -3.442358 -0.199764
H -0.056085 -3.653503 1.372873
H -1.154710 -2.855293 0.285028
+++

It’s worth mentioning that I don’t fantasize about George Clooney or whoever the latest heartthrob is. A long time ago a friend had sex with a guy who kept saying, “Come on, Eddie. Come on, Eddie. Come on, Eddie.” as they were screwing. (There was no second date.) My thoughts are similar though. I imagine getting close and basically egging myself on. Sometimes I think of Lion doing anything for me to make me come. That usually does it.

Last night was just weird. I don’t know if it was being watched or the music or what. Maybe it was just weird because it took so long. I think from now on I’ll have Lion give me any attention I need. The problem with that, of course, is if it’s just not happening he’ll think it’s his fault when it’s not. Sometimes it’s just not happening.

[Lion – Mrs. Lion didn’t take any longer than usual. I think she may be self conscious of the time it takes her to come. In my experience, she is fairly typical of women I have known. A very few have a hair trigger, most were about the same as Mrs. Lion.]

woman manasturbating
Lion is forbidden to masturbate, but I can do it whenever I want. This weekend I’ll show Lion what he’s missing.

When we first started enforced chastity I had Lion masturbate for me. I knew how to do it, obviously, but I wanted to see how he did it. How fast or slow did he go? What grip did he use? Where did he grip? In hindsight it was very symbolic. It was the last time he was allowed to masturbate. He was saying goodbye to an old friend.

This morning it occurred to me that he’s never seen me masturbate. Not that he needs any help doing it for me, but wouldn’t he benefit from it? Rather than directing him – more to the right, no up a little – I could show him. I know you’re thinking this is all very interesting, Mrs. Lion, but you’re never in the mood for sex. That is true, but it’s also true that Lion can usually awake the sleeping giant if he chooses to. If he can do it why can’t I? I say it’s worth a shot.

I can’t promise when this will happen. We’ve got a lot of chores this weekend. But I know we’ve been talking about getting me back in the saddle, so to speak. We’ll try to make it happen tonight or tomorrow night. And then I’ll let him see if he’s learned anything a few days later. We both may need a few lessons. It’s been a long time since I cared much about sex for me. I don’t know that I’m up for the every-other-day action that Lion is guaranteed, but I think maybe it’s time we made it a priority like we’ve made punishment a priority for Lion.

Lion is a fast learner. He’s eager and attentive. I wonder if my masturbating will turn him on. Probably. He loves when I come. This just might work to “fix” me. Stay tuned.

This is our 2,000th post. It’s also only a few days until my third year locked in a chastity device ends. When I started this blog, I never considered that we would have enough to write about to fill 1,000,000 words and 2,000 posts. Truth is, I didn’t think I would be still doing enforced chastity this long. I’m proud of us for both accomplishments. I’m also very proud that our readership has steadily grown each year. It feels good knowing that we are able to provide useful and interesting content for you.

We were going to do a he said, she said today answering questions from our readers. We didn’t get much response when we asked for questions. If it weren’t for our web analytics I would think that no one reads us. But I get it; very few people who read blogs join the conversation; much the pity.

I’ve been reflecting on the last three years. One thing I said yesterday was that before enforced chastity, almost all my sex came from my left hand . Yes, that’s the one I use to masturbate. Mrs. Lion commented nothing has changed there except now it is her hand instead of mine. I got a chuckle out of that. Then, yesterday morning it stopped being funny.

What’s really changed for me sexually since enforced chastity began? The biggest change and the one I truly love is that Mrs. Lion is not only part of my sex life, she is my sex life. But my sex life is still almost entirely masturbation. Recently, my lioness has used her mouth to tease me a few times. That is certainly a nice change. I love that. Is my problem that I get hand jobs over 99% of the time? Am I bored with them? Maybe a little.

Mrs. Lion jerks me off better than I ever could. I have a good time being edged. There are only a limited number of ways to get me off. Notably absent is intercourse. Sex is only for me. Fucking is just another way for Mrs. Lion to get me off; a way that is much harder work than a hand job. Oral sex is less effort than fucking, but still much more difficult than a wank. Probably the easiest way to get me off is with the Magic Wand.

Next to the text, the page also holds molecular data =
<<<
Entry 1:
ORCA calculation (ωB97M-V/def2-TZVPD) on a structure of composition C28H49BClIO7S2Yb.

## Properties
Net charge: +2
Multiplicity: 1
Orbital gap: 5.813 eV

Positions of all 90 atoms, in Å:
Yb: 1.5926 -4.2262 1.8103
I: 2.2114 -5.6338 -0.5527
Cl: -1.5998 2.5179 0.2686
S: 1.9505 -1.1312 3.2418
S: 1.0666 3.2717 0.9871
O: -1.1156 -0.3219 -6.8498
O: 2.2140 3.3927 1.9254
O: -1.3605 0.1442 -1.6587
O: 0.6147 -1.8248 -6.3046
O: 1.3336 2.7440 -0.5561
O: 0.4338 -1.2120 -2.3957
O: 0.5135 4.6839 0.8056
C: 2.0690 -1.0017 -0.0852
C: -0.2930 2.0423 1.4961
C: -4.5420 1.2130 2.6562
C: 1.4762 0.4590 2.4345
C: 0.7450 -0.7962 -8.6080
C: -0.7008 1.0407 -6.4917
C: -1.7053 3.9202 2.9226
C: -0.6101 -2.2144 -2.6617
C: 1.9374 -2.4603 5.7265
C: -1.4546 -2.1935 3.9567
C: 0.9419 0.1750 -0.0963
C: 1.2187 1.6547 -4.6685
C: 0.2133 0.4811 1.3647
C: -1.2479 -0.6571 3.4119
C: 1.6393 -2.5157 0.1232
C: -0.8298 -0.6172 1.8366
C: -0.7894 2.6042 2.8844
C: -3.2566 3.6718 3.3598
C: -2.2706 -0.7682 1.1486
C: 1.8210 1.3995 -0.6812
C: -0.2828 1.0763 -4.9168
C: 2.0444 -0.9533 5.1004
C: -3.8999 2.3382 2.7713
C: 0.0958 -1.0311 -7.1535
C: -2.9693 -2.3168 4.5720
C: 2.3223 -3.4717 -1.0545
C: 1.2960 2.3506 -3.1828
C: 2.2220 1.3698 -2.2418
B: -0.0221 -0.2855 -1.3287
H: -3.7669 -2.0471 3.7705
H: 3.4169 -3.1133 -1.1365
H: -3.0383 -1.4533 5.3482
H: 1.4636 -2.4760 6.7700
H: 1.2813 -3.1301 5.0392
H: -3.1804 -3.3408 5.0355
H: -1.2324 -2.4804 -1.7370
H: 2.0412 -3.0126 1.1159
H: 1.3467 1.1580 3.3309
H: -2.1853 -1.4821 0.2294
H: 1.1799 -0.3242 5.5401
H: 3.2543 1.9154 -2.2868
H: -3.9294 4.5473 2.9948
H: -0.3637 -1.6815 1.7049
H: 1.8122 -3.3480 -2.0706
H: -2.7954 0.1656 0.7876
H: 0.1912 2.3655 -2.8218
H: 1.7455 -1.3485 -8.6637
H: 0.9307 0.3242 -8.7915
H: -1.3041 4.5946 3.7862
H: -0.7585 -2.3088 4.8698
H: 0.5118 -2.7793 0.0798
H: -0.0310 -1.1470 -9.3757
H: -0.5496 -0.1024 4.1204
H: -1.2227 -1.8514 -3.5605
H: 2.9821 -0.7774 0.6041
H: 1.7481 3.3979 -3.2833
H: 1.9258 0.7480 -4.7553
H: -1.7251 4.5997 2.0173
H: 0.0896 1.4904 -7.1880
H: 1.4424 2.3959 -5.5122
H: 2.9894 -2.9300 5.7213
H: 2.4287 0.3556 -2.7135
H: 2.8411 1.3594 -0.1138
H: 0.1820 2.9192 3.4562
H: 2.4540 0.8457 1.9350
H: 2.6095 -1.0245 -1.1200
H: -1.1028 1.6812 -4.3867
H: -2.2942 -0.1660 3.5524
H: -0.3915 -0.0126 -4.5327
H: -0.0897 -3.1953 -3.0121
H: -1.3238 1.9108 3.6177
H: -5.0280 0.2640 2.2134
H: -1.6568 1.6915 -6.6125
H: 3.0236 -0.4870 5.4711
H: -3.3012 3.7419 4.5198
H: -1.2773 -2.9834 3.1395
H: -3.0309 -1.3179 1.8383
H: -1.3353 0.9314 -2.2510

Okay, here come the Löwdin numbers, in e, for every atom:
1. Yb 1.226
2. I 0.969
3. Cl 0.793
4. S 0.824
5. S 0.756
6. O -0.087
7. O -0.279
8. O 0.048
9. O 0.031
10. O -0.249
11. O -0.093
12. O -0.301
13. C -0.121
14. C -0.587
15. C 0.055
16. C -0.378
17. C 0.008
18. C -0.161
19. C -0.218
20. C -0.060
21. C -0.172
22. C -0.232
23. C -0.141
24. C -0.155
25. C -0.254
26. C -0.191
27. C -0.328
28. C -0.269
29. C -0.214
30. C -0.181
31. C -0.066
32. C -0.280
33. C -0.150
34. C -0.455
35. C -0.119
36. C -0.389
>>>

Don’t get me wrong. I love all those methods. I do! But there is something missing. A hand job compared with intercourse is like ham and eggs. The chicken is involved, but the pig is committed. A hand job isn’t as intimate. Obviously, it would be impossible for Mrs. Lion to provide intercourse or oral sex every time we are sexual. The good, ol’ hand job has to remain the workhorse of my edging and ejaculations.

ORCA calculation (ωB97M-V/def2-TZVPD) on an isolated molecule of C4H7NO in a non-equilibrium geometry.

## Properties
E_HOMO ... -9.330 eV
E_LUMO ... 1.2 eV
Gap between HOMO and LUMO ... 10.489 eV

ORCA input file:
```
! RIJCOSX wB97M-V def2-TZVPD def2/J DEFGRID3
* xyz 0 1
O -0.97 0.26 1.24
N 0.55 -1.53 -0.34
C -1.82 0.76 0.22
C 0.41 -0.17 -0.75
C 1.63 -0.58 -0.02
C -0.35 0.81 0.08
H -0.02 -1.59 0.51
H -2.34 -0.04 -0.34
H -2.49 1.58 0.50
H 1.73 -0.31 1.04
H 0.60 1.36 0.21
H 0.49 0.11 -1.80
H 2.57 -0.67 -0.55
*
```

Calculated atomic charges, method Mulliken, unit e: number 1, O, carries -0.448; number 2, N, carries -0.669; number 3, C, carries -0.286; number 4, C, carries -0.022; number 5, C, carries -0.614; number 6, C, carries -0.100; number 7, H, carries 0.353; number 8, H, carries 0.216; number 9, H, carries 0.261; number 10, H, carries 0.267; number 11, H, carries 0.353; number 12, H, carries 0.392; number 13, H, carries 0.299

***

ORCA calculation (ωB97M-V/def2-TZVPD) on a cluster of 12 separate species, C44H96F18N5O17 in total in a non-equilibrium geometry.

## Properties
E_HOMO ... -5.867 eV
E_LUMO ... 1.9 eV
Gap between HOMO and LUMO ... 7.767 eV

ORCA input file:
```
! RIJCOSX wB97M-V def2-TZVPD def2/J DEFGRID3
* xyz -1 1
F 4.56 -2.72 5.29
F 6.31 -1.60 4.34
F -3.52 -5.54 -0.57
F 1.25 -0.01 -5.91
F -3.78 -3.46 -0.16
F -3.41 4.90 1.19
F -1.69 2.91 8.16
F -5.21 -4.53 -1.49
F -1.15 -4.35 0.41
F 6.64 -2.76 6.16
F -0.13 -6.07 -0.11
F 0.38 -5.22 1.79
F 0.47 1.99 -5.97
F -1.13 4.29 6.56
F -2.25 3.40 0.33
F -4.13 2.94 1.05
F 2.59 1.59 -6.03
F -1.74 4.91 8.58
O 0.18 0.90 -3.42
O -3.15 5.00 -1.64
O -7.76 -0.40 -0.53
O -3.14 -5.06 -3.19
O 1.18 -1.22 1.87
O -0.30 -3.41 -5.80
O -3.36 -2.80 -2.90
O 0.45 -3.56 -1.22
O -4.29 4.11 7.99
O 5.85 1.66 0.33
O 5.14 -3.87 3.15
O 2.25 -4.64 -0.40
O 1.87 2.64 -3.77
O -2.03 1.46 5.65
O -4.56 3.19 -1.62
O -0.91 5.09 2.38
O 6.22 -5.08 4.77
N -0.39 2.32 2.97
N 7.00 4.27 0.88
N 0.82 -0.96 -1.16
N -1.20 -1.66 -3.86
N -5.21 0.67 -1.04
C -6.33 0.58 -2.03
C 1.01 -3.20 -5.43
C 7.53 -5.33 5.37
C 5.67 3.87 1.41
C 1.35 1.29 -3.87
C 1.41 1.25 -5.46
C -4.10 4.24 -0.95
C -1.82 -1.66 -5.18
C -0.88 -2.17 -6.27
C -1.64 5.44 -3.57
C -2.38 0.06 5.49
C -9.13 -0.84 -0.31
C -3.89 -4.40 -1.16
C -6.28 -0.78 -2.86
C -0.92 6.24 1.56
C 6.20 -3.91 4.01
C 4.76 5.04 1.64
C 0.02 -0.38 0.05
C -2.98 -4.03 -2.32
C -3.61 -0.13 4.53
C 0.04 -4.95 0.50
C 7.41 -6.55 6.32
C 0.68 3.42 3.10
C 4.93 0.64 -0.12
C 3.24 -3.68 -0.83
C -3.47 3.83 0.37
C -2.15 -5.29 -4.13
C 4.62 -3.97 -0.43
C -2.42 -0.28 -5.59
C 1.91 2.72 2.68
C 0.40 4.65 2.29
C 1.01 -4.02 -0.13
C 1.76 3.30 -2.56
C -3.41 4.13 7.16
C 5.03 2.82 0.56
C 1.19 -1.91 3.10
C -7.66 0.76 -1.35
C 2.87 4.23 -2.25
C -1.39 -0.14 -0.51
C -0.08 -1.20 1.33
C 5.95 -2.74 5.04
C -2.12 4.39 -2.50
C -1.94 4.05 7.61
C -0.76 -5.55 -3.70
H 5.03 -4.92 -0.72
H 3.11 4.93 -3.04
H -0.05 -1.48 -6.53
H 4.65 -4.00 0.64
H -0.35 5.98 0.71
H -6.12 1.38 -2.75
H -3.59 4.36 6.06
H 7.80 -4.42 5.82
H -4.39 0.33 -1.54
H -1.29 0.61 -1.26
Here the piece continues:

When we first started posting, Mrs. Lion mentioned that her loss of interest in sex was due to the fact that I don’t initiate. She backed off that position and later claimed it was just some change in her. Then, about a month ago, I gave her an orgasm, then a week later, another. She liked them but cautioned me that she wasn’t sure how often she would like to repeat this. She did say she thought I should continue.

Then, a few weeks ago we were talking about her orgasms. She mentioned very casually that she liked that I initiated the most recent ones. At the time the light bulb didn’t go on. But when I was thinking about her hand job comment in my post, those other words came up in my mind. Put my thoughts about hand jobs together with her comment about me initiating sex and we have something we need to handle.

It may seem odd that a caged male is ruminating about what amounts to vanilla sex. But that’s me: odd. It seems that if I were to initiate giving Mrs. Lion orgasms, her interest in sex would begin to return. Conversely, if I stopped initiating, it would recede again. This seems to be the case now. Ok, you say, the answer is simple. Just regularly get Mrs. Lion off.

Brilliant idea! Oh, wait, my lack of initiation is what caused the problem in the first place. Are we back to where we were three years ago? The only difference now is that I get orgasms regularly? Could be. We’ve been really good about working out enforced chastity and domestic discipline. I wonder if the same techniques would apply here as well. They might.

There is one big difference: I figured out how to make things work that affected me. Mrs. Lion used my suggestions to get things going. If I do the same thing again, this time for Mrs.Lion as the target, will it work? I initiated my own demise, so to speak. I taught Mrs. Lion how to tame me. I think I have been waiting for Mrs. Lion to work out how to train me to initiate her pleasure.

I suggested basing my orgasms on her coming a certain number of times. That didn’t appeal at all. The reason, I think, is that she would be indirectly initiating her own orgasms. That’s something she seems incapable of doing. Another thought I had is similar. What if Saturday, for example, is my orgasm day. What if Mrs. Lion has to have an orgasm before I am eligible for one myself. It doesn’t mean that if she gets one, I will. But if she doesn’t have one by Saturday, I will have to wait another week. Sort of a lion incentive plan. That might be too much pressure for her. But what if I only had to initiate. She could decide she didn’t want one. That could count too.

There is one very big barrier to me initiating with Mrs. Lion: she’s always busy. We often relax together in bed. Invariably, she is deeply involved with her iPad, either reading or playing games. I always feel I am interrupting her. She says that she feels the same way when I am watching TV. I keep reminding her that nothing would make me happier than have her reach over to the remote and hit “Pause”. She never does that. She usually waits for me to signal I want to be teased.

We have a communication issue. It’s time for a signal that indicates interest. In my case, given my status as submissive to her, pausing my TV show is perfect. Maybe she can put down her iPad and signal me. It may be all she wants is a snuggle, but if I get a signal I can try to see if she wants more.

It’s very difficult for me to interrupt her to give her sex. I don’t know why, but it is. I think I have to learn initiating the same way she learned spanking. We need a somewhat artificial situation that serves to teach me and encourage me. If my gentle, sweet lioness learned to bruise my bottom. I can certainly learn to just go for the gold with her. I need help getting started.

Mrs. Lion has turned a corner. She correctly observes that she is prepared to give me what I asked for all along. She wonders how I will like it when I get it. I wonder as well. Of course, the world is waiting to learn exactly what this latest version of the lioness includes. A few features have been revealed. For one, she is much less interested in how I feel about wanting sex. Her post yesterday discussed that she wasn’t even tempted to get me off even I told her I was very horny. It should be noted that I didn’t ask to be unlocked, but she told me that she knew I wanted stimulation.

A second, more frightening feature was hinted at last weekend. She had me in the sling and put a long piece of peeled ginger root up my ass. It truly burned. I let her know. She was unmoved and left it in until I told her the effect had worn off. She then used some menthol rub (like Ben Gay) on a couple of spots on my balls. That burns a lot! Again she was unmoved and kept me restrained until after it peaked. It’s clear that when she administers painful stimulus, she means business. I know that both “treatments” were rather mild. The rub was old and not put on liberally at all. The ginger burns, but to date hasn’t been horrible. Lioness 2.0 let me know she was only previewing the true depth of that feature.

In her release announcement, she told us that she was no longer taking direction or requests from me. She said the new lioness would listen, but was not inclined to follow up on what I want until she had time to consider it and then give it her own twist. I had often said that forcing someone to do what they want done isn’t control; it’s service. Lioness 1.0 was very service oriented. Lioness 2.0 isn’t.

Apparently, lioness 2.0 is more interested in her own orgasms. I’m happy with that new feature. I wonder if a reduction in my number of orgasms is part of this new sexual look and feel. She kept me in my cage when I gave her an orgasm the other day. She later mentioned that she hadn’t planned on unlocking me at all that day. She did, however, and edged me more than a few times. It’s clear that lioness 2.0 doesn’t feel that I need to be out of my cage just because I provide her with orgasms.

She revealed one last feature so far: She has added the shock collar back into our lives. I wore it all day on Sunday. Yesterday, we made a trip to Ikea. Before she left for work in the morning, she told me to have the shock collar on (around my balls) and to be sure to remind her to take the remote control. Seems like this device will get a lot more use. It does make it much easier for Mrs. Lion to correct me on the spot and saves the trouble of remembering and offense for the next punishment day. It’s too soon to tell, but I think it will keep me much more attentive.

We can expect more information about the latest lioness release in the next days and weeks. Lioness 2.0 prefers demonstrating new features rather than announcing them. Poor lion.